Saturday, March 2, 2013

Inserted here: data records:
~~~
No. 1
VASP calculation (PBE with a Hubbard U) on a relaxed KEuFeBiO6 crystal.

Symmetry: F-43m (216)

Cell lengths 5.771, 5.771, 5.771 Å; angles 60.00, 60.00, 60.00 degrees
Element x y z (fractional)
K 0.000 0.000 0.000
Eu 0.500 0.500 0.500
Fe 0.750 0.750 0.750
Bi 0.250 0.250 0.250
O 0.509 0.509 0.991
O 0.509 0.991 0.509
O 0.509 0.991 0.991
O 0.991 0.509 0.509
O 0.991 0.509 0.991
O 0.991 0.991 0.509

=====

No. 2
VASP calculation (PBE with a Hubbard U) on a relaxed SrEuFeBiO6 crystal.

Symmetry: F-43m (216)

Cell lengths 5.826, 5.826, 5.826 Å; angles 60.00, 60.00, 60.00 degrees
Element x y z (fractional)
Sr 0.000 0.000 0.000
Eu 0.500 0.500 0.500
Fe 0.750 0.750 0.750
Bi 0.250 0.250 0.250
O 0.507 0.507 0.993
O 0.507 0.993 0.507
O 0.507 0.993 0.993
O 0.993 0.507 0.507
O 0.993 0.507 0.993
O 0.993 0.993 0.507

=====

No. 3
VASP calculation (PBE with a Hubbard U) on a relaxed KEuBiWO6 crystal.

ΔE to the lowest computed polymorph, eV/f.u.: 0.22
Symmetry: F-43m (216)

Cell lengths 6.041, 6.041, 6.041 Å; angles 60.00, 60.00, 60.00 degrees
Element x y z (fractional)
K 0.000 0.000 0.000
Eu 0.500 0.500 0.500
Bi 0.250 0.250 0.250
W 0.750 0.750 0.750
O 0.522 0.522 0.978
O 0.522 0.978 0.522
O 0.522 0.978 0.978
O 0.978 0.522 0.522
O 0.978 0.522 0.978
O 0.978 0.978 0.522

=====

No. 4
VASP calculation (PBE with a Hubbard U) on a relaxed KEuBiWO6 crystal.

ΔE to the lowest computed polymorph, eV/f.u.: 0.00
Symmetry: Pnnn (48)

Cell lengths 8.460, 8.471, 8.505 Å; angles 90.00, 90.00, 90.00 degrees
Element x y z (fractional)
K 0.250 0.250 0.250
K 0.250 0.750 0.250
K 0.750 0.250 0.750
K 0.750 0.750 0.750
Eu 0.250 0.250 0.750
Eu 0.250 0.750 0.750
Eu 0.750 0.250 0.250
Eu 0.750 0.750 0.250
Bi 0.000 0.000 0.000
Bi 0.000 0.500 0.500
Bi 0.500 0.000 0.500
Bi 0.500 0.500 0.000
W 0.000 0.000 0.500
W 0.000 0.500 0.000
W 0.500 0.000 0.000
W 0.500 0.500 0.500
O 0.024 0.227 0.472
O 0.024 0.273 0.028
O 0.041 0.027 0.728
O 0.041 0.473 0.772
O 0.227 0.530 0.018
O 0.227 0.970 0.482
O 0.273 0.530 0.482
O 0.273 0.970 0.018
O 0.459 0.027 0.772
O 0.459 0.473 0.728
O 0.476 0.227 0.028
O 0.476 0.273 0.472
O 0.524 0.727 0.528
O 0.524 0.773 0.972
O 0.541 0.527 0.272
O 0.541 0.973 0.228
O 0.727 0.030 0.982
O 0.727 0.470 0.518
O 0.773 0.030 0.518
O 0.773 0.470 0.982
O 0.959 0.527 0.228
O 0.959 0.973 0.272
O 0.976 0.727 0.972
O 0.976 0.773 0.528

=====

No. 5
VASP calculation (PBE with a Hubbard U) on a relaxed Eu2NiBiO6 crystal.

Symmetry: Fm-3m (225)

Cell lengths 5.764, 5.764, 5.764 Å; angles 60.00, 60.00, 60.00 degrees
Element x y z (fractional)
Eu 0.250 0.250 0.250
Eu 0.750 0.750 0.750
Ni 0.000 0.000 0.000
Bi 0.500 0.500 0.500
O 0.245 0.245 0.755
O 0.245 0.755 0.245
O 0.245 0.755 0.755
O 0.755 0.245 0.245
O 0.755 0.245 0.755
O 0.755 0.755 0.245

=====

No. 6
VASP calculation (PBE with a Hubbard U) on a relaxed EuV2BiO8 crystal.

Symmetry: I-4m2 (119)

Cell lengths 6.139, 6.139, 6.139 Å; angles 106.28, 106.28, 116.07 degrees
Element x y z (fractional)
Eu 0.000 0.000 0.000
~~~
The page goes on:

How To Start Posting On Blogger - For Beginners

Composing and publishing a post on Blogger is very easy to understand for beginners. At the same time, it offers features that a more advanced user can use for more advanced purposes. In this article, we will focus on posting on Blogger for beginners and will discuss some basic features that such a beginner might need.

Path 1: New Post Editor from Bloggr Home Screen

Start by clicking on the 'pen' button corresponding to your new blog. This is the 'New Post' button that you an access from your Blogger home screen.

Path 2: New Post Editor from Blogger Posts List

Another way is to open your blog's post list, which is empty for now. Click open the drop down menu and click on 'Posts'.

This will open your post list which will be empty as shown below. In case there are already some posts, they will all appear on the right hand side pane of this window in chronological order of their creation.

You can see that this screen contains more buttons for New Post buttons. Clicking any of these buttons or the button shown in image for Path 1 will open the New Post editor for you. Furthermore, the link "Create a new post" will serve the same purpose. See below:

The 'New Post' Editor:

Here is the editor screen. Click to enlarge.

You can use this editor to insert basic text and to add different media like photographs and videos. There are a couple of different ways you can format your text with size options, font styles, paragraph, block quote and bullets etc. What really makes Blogger so easy and flexible is that it gives you the option to go into the HTML side of your composition and do all sorts of things with your posts that you would do with normal HTML. Pretty cool, han?

Formatting Options in Blogger Post Editor

Blogger post editor comes with a small set of formatting options for beginners who are not familiar with how HTML tags work. Due to this, even first time bloggers can make professional looking blog posts. In later sections, we will see how to incorporate almost any kind of HTML in our posts to achieve high-end, superbly presented blog posts.

Blogger provides two types of views in its post editor. Already provided formatting options are available for the 'Compose' tab where user gets to see how blog text will actually appear in the post. We discuss this section for now. All we do here can be seen in HTML format by clicking on the HTML tab just next to the Compose tab. We will leave the HTML tab for advanced levels.

The following image illustrates already delivered features in Blogger's post editor. (click to enlarge)

Here are the text effects of these features:

Font Style:

This text is in default font style of the blog template.

This text is in Courier font style.

Text Size:

This text is in the default text size of this blog, i.e., Normal.

This text is changed to the largest text size this editor offers.


This text shows the actual heading. 

This text shows subheading.

This text shows minor heading.

This is normal text.

Text Styles:

This is plain text.

This text is italicized.

This text is bold.

This text is underlined.

This text uses strike through.

[Here the page breaks off for calculated crystals]
┌──
(1)
Crystalline Li3VF6 at its relaxed geometry, computed with PBE+U.

## Properties
energy above the lowest structure with this stoichiometry = 0.000 eV per atom
space group = C2/c, No. 15
ΔE_f = -3.2112 eV per atom
electronic total energy = -0.3964 Ry/atom

Cell: 8.548 8.548 10.273 Å, 95.14 95.14 62.22°
Positions (direct):
Li1 0.009 0.708 0.226
Li2 0.057 0.346 0.430
Li3 0.133 0.529 0.951
Li4 0.190 0.810 0.750
Li5 0.292 0.991 0.274
Li6 0.326 0.628 0.470
Li7 0.346 0.057 0.930
Li8 0.372 0.674 0.030
Li9 0.471 0.867 0.549
Li10 0.529 0.133 0.451
Li11 0.628 0.326 0.970
Li12 0.654 0.943 0.070
Li13 0.674 0.372 0.530
Li14 0.708 0.009 0.726
Li15 0.810 0.190 0.250
Li16 0.867 0.471 0.049
Li17 0.943 0.654 0.570
Li18 0.991 0.292 0.774
V1 0.000 0.000 0.000
V2 0.000 0.000 0.500
V3 0.336 0.340 0.706
V4 0.340 0.336 0.206
V5 0.660 0.664 0.794
V6 0.664 0.660 0.294
F1 0.070 0.075 0.169
F2 0.075 0.070 0.669
F3 0.084 0.759 0.060
F4 0.098 0.756 0.569
F5 0.103 0.434 0.113
F6 0.106 0.413 0.607
F7 0.227 0.270 0.842
F8 0.240 0.562 0.309
F9 0.241 0.916 0.440
F10 0.244 0.902 0.931
F11 0.247 0.569 0.807
F12 0.270 0.227 0.342
F13 0.407 0.434 0.064
F14 0.413 0.106 0.107
F15 0.431 0.753 0.693
F16 0.434 0.103 0.613
F17 0.434 0.407 0.564
F18 0.438 0.760 0.191
F19 0.562 0.240 0.809
F20 0.566 0.593 0.436
F21 0.566 0.897 0.387
F22 0.569 0.247 0.307
F23 0.587 0.894 0.893
F24 0.593 0.566 0.936
F25 0.730 0.773 0.658
F26 0.753 0.431 0.193
F27 0.756 0.098 0.069
F28 0.759 0.084 0.560
F29 0.760 0.438 0.691
F30 0.773 0.730 0.158
F31 0.894 0.587 0.393
F32 0.897 0.566 0.887
F33 0.902 0.244 0.431
F34 0.916 0.241 0.940
F35 0.925 0.930 0.331
F36 0.930 0.925 0.831

=====

(2)
Crystalline LiVF5 at its relaxed geometry, computed with PBE+U.

## Properties
energy above the lowest structure with this stoichiometry = 0.019 eV per atom
space group = Pna2_1, No. 33
ΔE_f = -3.0763 eV per atom
electronic total energy = -0.3999 Ry/atom

Cell: 7.711 17.286 5.778 Å, 90.00 90.00 90.00°
Positions (direct):
Li1 0.119 0.146 0.000
Li2 0.235 0.531 0.806
Li3 0.265 0.031 0.306
Li4 0.381 0.646 0.500
Li5 0.619 0.354 0.000
Li6 0.735 0.969 0.806
Li7 0.765 0.469 0.306
Li8 0.881 0.854 0.500
V1 0.061 0.356 0.009
V2 0.109 0.874 0.013
V3 0.391 0.374 0.513
V4 0.439 0.856 0.509
V5 0.561 0.144 0.009
V6 0.609 0.626 0.013
V7 0.891 0.126 0.513
V8 0.939 0.644 0.509
F1 0.010 0.783 0.014
F2 0.036 0.088 0.748
F3 0.036 0.251 0.019
F4 0.046 0.088 0.280
F5 0.107 0.622 0.733
F6 0.110 0.631 0.297
F7 0.140 0.457 0.012
F8 0.236 0.336 0.763
F9 0.237 0.965 0.028
F10 0.238 0.340 0.259
F11 0.262 0.840 0.759
F12 0.263 0.465 0.528
F13 0.264 0.836 0.263
F14 0.360 0.957 0.512
F15 0.390 0.131 0.797
F16 0.393 0.122 0.233
F17 0.454 0.588 0.780
F18 0.464 0.588 0.248
F19 0.464 0.751 0.519
F20 0.490 0.283 0.514
F21 0.510 0.717 0.014
F22 0.536 0.249 0.019
F23 0.536 0.412 0.748
F24 0.546 0.412 0.280
F25 0.607 0.878 0.733
F26 0.610 0.869 0.297
F27 0.640 0.043 0.012
F28 0.736 0.164 0.763
F29 0.737 0.535 0.028
F30 0.738 0.160 0.259
F31 0.762 0.660 0.759
└──

This text is plain, bold and underlined.

This text is italicized, bold and underlined.

This text is plain, bold, underlined and strike through.

This text is italicized, bold, underlined and strike through.

Text Color:

This text is in red.

Text Highlight Color:

This text is not highlighted in any color.

This text is highlighted in color.


This text is a link.

Text Alignment:

This text is left aligned.

This text is center aligned.

This text is right aligned.

Bullets and Numbering:

The following list is numbered.
  1. Point 1
  2. Point 2
  3. Point 3
The following list is in bullets.
  • Point 1
  • Point 2
  • Point 3

Block Quotes:

This text is in block quotes.

Hope this post was helpful. For any queries, use the comments section.